• Material:
1.
Density functional theory data (PBE) for a relaxed MgZn2Ni4S10 crystal.

## Properties
**Electronic total energy**: -74.441 eV/f.u.
**Energy above the lowest structure with this stoichiometry**: 0.00 kJ per mole of atoms
**Corrected total energy (MP2020 scheme)**: -4.67 eV per atom
**Space group**: Pm (6)
**Theoretical density**: 3763 kg/m3

a b c (Å): 3.690 6.425 13.236
angles (deg): 92.62 90.00 90.00
Element x y z (fractional)
Mg: 0.750 0.060 0.019
Zn: 0.750 0.890 0.312
Zn: 0.250 0.113 0.689
Ni: 0.250 0.499 0.103
Ni: 0.750 0.507 0.895
Ni: 0.750 0.537 0.608
Ni: 0.250 0.466 0.390
S: 0.750 0.347 0.745
S: 0.250 0.657 0.253
S: 0.750 0.668 0.049
S: 0.250 0.320 0.951
S: 0.750 0.633 0.446
S: 0.250 0.369 0.553
S: 0.250 0.150 0.316
S: 0.750 0.849 0.686
S: 0.751 0.822 0.847
S: 0.250 0.175 0.150

***

2.
Density functional theory data (PBE) for a relaxed CoAg2Sn3S8 crystal.

## Properties
**Electronic total energy**: -62.410 eV/f.u.
**Corrected total energy (MP2020 scheme)**: -4.75 eV per atom
**Space group**: R-3m (166)
**Theoretical density**: 4900 kg/m3

a b c (Å): 7.470 7.470 7.470
angles (deg): 60.90 60.90 60.90
Element x y z (fractional)
Co: 0.000 0.000 0.000
Ag: 0.388 0.388 0.388
Ag: 0.612 0.612 0.612
Sn: 0.000 0.500 0.000
Sn: 0.000 0.000 0.500
Sn: 0.500 0.000 0.000
S: 0.773 0.214 0.773
S: 0.753 0.753 0.753
S: 0.786 0.227 0.227
S: 0.227 0.227 0.786
S: 0.227 0.786 0.227
S: 0.247 0.247 0.247
S: 0.214 0.773 0.773
S: 0.773 0.773 0.214

***

3.
Density functional theory data (PBE) for a relaxed RbMg14BiO16 crystal.

## Properties
**Electronic total energy**: -179.569 eV/f.u.
**Energy above the lowest structure with this stoichiometry**: 0.00 kJ per mole of atoms
**Corrected total energy (MP2020 scheme)**: -5.96 eV per atom
**Space group**: P4/mmm (123)
**Theoretical density**: 4181 kg/m3

a b c (Å): 8.818 8.818 4.549
angles (deg): 90.00 90.00 90.00
Element x y z (fractional)
Rb: 0.000 0.000 0.000
Mg: 0.000 0.500 0.000
Mg: 0.500 0.000 0.000
Mg: 0.000 0.251 0.500
Mg: 0.000 0.749 0.500
Mg: 0.500 0.235 0.500
Mg: 0.500 0.765 0.500
Mg: 0.251 0.000 0.500
Mg: 0.235 0.500 0.500
Mg: 0.749 0.000 0.500
Mg: 0.765 0.500 0.500
Mg: 0.243 0.243 0.000
Mg: 0.243 0.757 0.000
Mg: 0.757 0.243 0.000
Mg: 0.757 0.757 0.000
Bi: 0.500 0.500 0.000
O: 0.279 0.000 0.000
O: 0.238 0.500 0.000
O: 0.721 0.000 0.000
O: 0.762 0.500 0.000
O: 0.253 0.253 0.500
O: 0.253 0.747 0.500
O: 0.747 0.253 0.500
O: 0.747 0.747 0.500
O: 0.000 0.000 0.500
O: 0.000 0.500 0.500
O: 0.500 0.000 0.500
O: 0.500 0.500 0.500
O: 0.000 0.279 0.000
O: 0.000 0.721 0.000
O: 0.500 0.238 0.000
O: 0.500 0.762 0.000

***

4.
Density functional theory data (PBE) for a relaxed CsLiP2O6 crystal.

## Properties
**Electronic total energy**: -66.197 eV/f.u.
**Corrected total energy (MP2020 scheme)**: -7.03 eV per atom
**Space group**: Fdd2 (43)
**Theoretical density**: 3089 kg/m3

a b c (Å): 11.762 11.762 11.942
angles (deg): 108.73 108.73 110.36
Element x y z (fractional)
Cs: 0.373 0.625 0.964
Cs: 0.375 0.623 0.464
Cs: 0.877 0.381 0.756
Cs: 0.660 0.409 0.036
Cs: 0.624 0.120 0.244
Cs: 0.159 0.910 0.536
Cs: 0.870 0.874 0.744
Cs: 0.131 0.127 0.256
Li: 0.918 0.713 0.027
Li: 0.686 0.891 0.973
Li: 0.641 0.936 0.473
Li: 0.955 0.416 0.313
Li: 0.166 0.205 0.813
Li: 0.463 0.168 0.527
Li: 0.392 0.353 0.187
Li: 0.103 0.642 0.687
P: 0.416 0.897 0.816
P: 0.170 0.831 0.994
P: 0.311 0.073 0.947
P: 0.114 0.376 0.553
P: 0.331 0.873 0.273
P: 0.623 0.581 0.773
P: 0.350 0.331 0.684
P: 0.837 0.176 0.006
P: 0.581 0.420 0.494
P: 0.647 0.666 0.316
P: 0.823 0.561 0.447
P: 0.600 0.059 0.727
P: 0.926 0.087 0.506
P: 0.809 0.850 0.227
P: 0.081 0.600 0.184
P: 0.126 0.364 0.053
O: 0.274 0.415 0.642
O: 0.028 0.208 0.489
O: 0.974 0.581 0.058
O: 0.483 0.929 0.722
O: 0.958 0.278 0.989
O: 0.176 0.051 0.852
O: 0.152 0.356 0.936
O: 0.705 0.163 0.889
O: 0.913 0.955 0.389
O: 0.669 0.001 0.659
O: 0.679 0.733 0.222
O: 0.789 0.082 0.469
O: 0.457 0.367 0.364
O: 0.510 0.457 0.778
O: 0.751 0.919 0.159
O: 0.289 0.970 0.011
O: 0.041 0.565 0.280
• Request:
Could you start at the top of the block further above and retype each line, ending with the one that has "0.000 0.279"?
• Here it is:
1.
Density functional theory data (PBE) for a relaxed MgZn2Ni4S10 crystal.

## Properties
**Electronic total energy**: -74.441 eV/f.u.
**Energy above the lowest structure with this stoichiometry**: 0.00 kJ per mole of atoms
**Corrected total energy (MP2020 scheme)**: -4.67 eV per atom
**Space group**: Pm (6)
**Theoretical density**: 3763 kg/m3

a b c (Å): 3.690 6.425 13.236
angles (deg): 92.62 90.00 90.00
Element x y z (fractional)
Mg: 0.750 0.060 0.019
Zn: 0.750 0.890 0.312
Zn: 0.250 0.113 0.689
Ni: 0.250 0.499 0.103
Ni: 0.750 0.507 0.895
Ni: 0.750 0.537 0.608
Ni: 0.250 0.466 0.390
S: 0.750 0.347 0.745
S: 0.250 0.657 0.253
S: 0.750 0.668 0.049
S: 0.250 0.320 0.951
S: 0.750 0.633 0.446
S: 0.250 0.369 0.553
S: 0.250 0.150 0.316
S: 0.750 0.849 0.686
S: 0.751 0.822 0.847
S: 0.250 0.175 0.150

***

2.
Density functional theory data (PBE) for a relaxed CoAg2Sn3S8 crystal.

## Properties
**Electronic total energy**: -62.410 eV/f.u.
**Corrected total energy (MP2020 scheme)**: -4.75 eV per atom
**Space group**: R-3m (166)
**Theoretical density**: 4900 kg/m3

a b c (Å): 7.470 7.470 7.470
angles (deg): 60.90 60.90 60.90
Element x y z (fractional)
Co: 0.000 0.000 0.000
Ag: 0.388 0.388 0.388
Ag: 0.612 0.612 0.612
Sn: 0.000 0.500 0.000
Sn: 0.000 0.000 0.500
Sn: 0.500 0.000 0.000
S: 0.773 0.214 0.773
S: 0.753 0.753 0.753
S: 0.786 0.227 0.227
S: 0.227 0.227 0.786
S: 0.227 0.786 0.227
S: 0.247 0.247 0.247
S: 0.214 0.773 0.773
S: 0.773 0.773 0.214

***

3.
Density functional theory data (PBE) for a relaxed RbMg14BiO16 crystal.

## Properties
**Electronic total energy**: -179.569 eV/f.u.
**Energy above the lowest structure with this stoichiometry**: 0.00 kJ per mole of atoms
**Corrected total energy (MP2020 scheme)**: -5.96 eV per atom
**Space group**: P4/mmm (123)
**Theoretical density**: 4181 kg/m3

a b c (Å): 8.818 8.818 4.549
angles (deg): 90.00 90.00 90.00
Element x y z (fractional)
Rb: 0.000 0.000 0.000
Mg: 0.000 0.500 0.000
Mg: 0.500 0.000 0.000
Mg: 0.000 0.251 0.500
Mg: 0.000 0.749 0.500
Mg: 0.500 0.235 0.500
Mg: 0.500 0.765 0.500
Mg: 0.251 0.000 0.500
Mg: 0.235 0.500 0.500
Mg: 0.749 0.000 0.500
Mg: 0.765 0.500 0.500
Mg: 0.243 0.243 0.000
Mg: 0.243 0.757 0.000
Mg: 0.757 0.243 0.000
Mg: 0.757 0.757 0.000
Bi: 0.500 0.500 0.000
O: 0.279 0.000 0.000
O: 0.238 0.500 0.000
O: 0.721 0.000 0.000
O: 0.762 0.500 0.000
O: 0.253 0.253 0.500
O: 0.253 0.747 0.500
O: 0.747 0.253 0.500
O: 0.747 0.747 0.500
O: 0.000 0.000 0.500
O: 0.000 0.500 0.500
O: 0.500 0.000 0.500
O: 0.500 0.500 0.500
O: 0.000 0.279 0.000